Posted: Thu Aug 17, 2006 5:12 pm
Posted: Thu Aug 17, 2006 5:13 pm
Indigo Project eek Just like a video game! dos this mean that I don't need to dig a hole?
Posted: Thu Aug 17, 2006 5:14 pm
## What comes next are records of crystals, not part of the piece
The following is a DFT calculation (PBE) of crystalline SiAsIrBr2 at its relaxed geometry.

The structure in extended XYZ format:
```
5
Lattice="5.253 0.000 0.000 0.000 5.253 0.000 0.000 0.000 4.649" Properties=species:S:1:pos:R:3 pbc="T T T"
Si 0.000 0.000 0.000
As 2.626 2.626 0.000
Ir 2.626 2.626 2.324
Br 0.000 2.626 2.324
Br 2.626 0.000 2.324
```

Results
* formation energy (no corrections): 16.9 kcal/mol of atoms
* total magnetic moment: 0.97 μB per formula unit
* offset from the most stable computed form: 0.00 eV per formula unit
* space group: P4/mmm


TcSbTe2W | Alexandria via LeMat-Bulk | GGA-PBE | optimized geometry; SG = No. 123; E_form (uncorrected) = 1.383 eV/atom; relative energy among the computed polymorphs = 0 meV per atom
1.0
5.265 0.000 0.000
0.000 5.265 0.000
0.000 0.000 5.328
Sb Te Tc W
1 2 1 1
Direct
0.000 0.000 0.500 Sb
0.000 0.500 0.000 Te
0.500 0.000 0.000 Te
0.500 0.500 0.500 Tc
0.000 0.000 0.000 W

TcSb2TeW | Alexandria via LeMat-Bulk | GGA-PBE | optimized geometry; SG = No. 123; E_form (uncorrected) = 1.395 eV/atom; relative energy among the computed polymorphs = 0 meV per atom
1.0
-0.310 2.035 4.857
1.690 -4.569 2.022
4.937 1.658 -0.379
Sb Te Tc W
2 1 1 1
Direct
0.000 0.500 0.000 Sb
0.500 0.000 0.000 Sb
0.000 0.000 0.500 Te
0.500 0.500 0.500 Tc
0.000 0.000 0.000 W

YTcSbTe2 | Alexandria via LeMat-Bulk | GGA-PBE | optimized geometry; SG = No. 123; E_form (uncorrected) = 0.124 eV/atom; relative energy among the computed polymorphs = 0 meV per atom
1.0
-0.340 1.609 5.175
1.191 -5.036 1.644
4.831 1.131 -0.034
Y Sb Te Tc
1 1 2 1
Direct
0.500 0.500 0.500 Y
0.000 0.000 0.500 Sb
0.000 0.500 0.000 Te
0.500 0.000 0.000 Te
0.000 0.000 0.000 Tc

YTcSbTe2 | Alexandria via LeMat-Bulk | GGA-PBE | optimized geometry; SG = No. 123; E_form (uncorrected) = 0.835 eV/atom; relative energy among the computed polymorphs = 711 meV per atom
1.0
-1.519 5.550 -0.150
-2.483 -0.819 -5.128
-5.034 -1.306 2.646
Y Sb Te Tc
1 1 2 1
Direct
0.000 0.000 0.000 Y
0.000 0.000 0.500 Sb
0.000 0.500 0.000 Te
0.500 0.000 0.000 Te
0.500 0.500 0.500 Tc

ZnTcSbTe2 | Alexandria via LeMat-Bulk | GGA-PBE | optimized geometry; SG = No. 123; E_form (uncorrected) = 0.557 eV/atom; relative energy among the computed polymorphs = 0 meV per atom
1.0
-1.179 -4.288 2.846
4.060 1.019 3.218
-3.102 2.852 3.011
Sb Zn Te Tc
1 1 2 1
Direct
0.000 0.000 0.500 Sb
0.500 0.500 0.500 Zn
0.000 0.500 0.000 Te
0.500 0.000 0.000 Te
0.000 0.000 0.000 Tc

ZnTc2SbTe | Alexandria via LeMat-Bulk | GGA-PBE | optimized geometry; SG = No. 123; E_form (uncorrected) = 1.650 eV/atom
1.0
-3.235 -1.772 -3.437
-3.448 -1.955 4.253
-2.452 4.405 0.037
Sb Zn Te Tc
1 1 1 2
Direct
0.000 0.000 0.000 Sb
0.500 0.500 0.500 Zn
0.000 0.500 0.000 Te
0.000 0.000 0.500 Tc
0.500 0.000 0.000 Tc

ZnTcSbTe2 | Alexandria via LeMat-Bulk | GGA-PBE | optimized geometry; SG = No. 123; E_form (uncorrected) = 1.122 eV/atom; relative energy among the computed polymorphs = 565 meV per atom
1.0
5.299 0.000 0.000
0.000 5.299 0.000
umi505 Indigo Project eek Just like a video game! dos this mean that I don't need to dig a hole? keep digging i might cut Undakia's life string haha
Undakai rolled 4 6-sided dice:
1, 3, 2, 5
Total: 11 (4-24)
Posted: Thu Aug 17, 2006 5:14 pm
Dark_Wyvern Undakai Dark_Wyvern Undakai ... Dark...what are you doing with those strings? You can't cut them without my life string cutters...now I have a job to do...so if you could please hand me those life strings...*pulls out a black, distorted looking pair of wire cutters* *puts a barrier around the string* im not ganna let you kill her she is a friend and i dont let people kill friends *hits Undakia and pulls out a pair of white siccors cutting the string healing her* HA i have the siccors of life and i have the siccors of death but i dont use them dude... it doesn't matter what type of siccors you use...you cut her string of life...that KILLS one...you just killed her. WRONG the siccors of life pressurve the body and prepare it for a resurection so yes shes dead but it isnt permanent, count to five and shell be back like she never died moron -.- the only way to bring someone back after cutting the life strings is to repair the life strings... Don't try explaining to the Angel of Death(the roll is for a bluff check...success=12+) about how life strings work...it's my job to know about these things. The string of life is simply that...a string that when cut, signifies the end of the persons life. That's it. End of story. It's not the siccors that really matter (as long as the siccors can cut the wire...which require special siccers anyway), but that the wire is, infact, cut. EDIT: bluff check failed crying
Posted: Thu Aug 17, 2006 5:15 pm
*keeps sneaking in dancefloor camo*
Posted: Thu Aug 17, 2006 5:16 pm
Dark_Wyvern umi505 Indigo Project eek Just like a video game! dos this mean that I don't need to dig a hole? keep digging i might cut Undakia's life string haha yay! . . digging is fun!!! blaugh
Posted: Thu Aug 17, 2006 5:17 pm
Dark_Wyvern *pulls out a black pair of siccors with Undakia's life string and i smile evilly* HAHA im from the other side so i can take any life string i want and i found yours ...I don't have a life string...I never was alive...advantages of being an angel.
Posted: Thu Aug 17, 2006 5:18 pm
*sneaks into hole* Ahhh my cover is blown!
Posted: Thu Aug 17, 2006 5:18 pm
Undakai Dark_Wyvern *pulls out a black pair of siccors with Undakia's life string and i smile evilly* HAHA im from the other side so i can take any life string i want and i found yours ...I don't have a life string...I never was alive...advantages of being an angel. wow, meang you'r non-liveing . . .you'r like an . . .object? . . yeah
Posted: Thu Aug 17, 2006 5:19 pm
HermieKrab *sneaks into hole* Ahhh my cover is blown! HAY! that's my hole!
Posted: Thu Aug 17, 2006 5:20 pm
Undakai Dark_Wyvern *pulls out a black pair of siccors with Undakia's life string and i smile evilly* HAHA im from the other side so i can take any life string i want and i found yours ...I don't have a life string...I never was alive...advantages of being an angel. damn angels evil i hate angels *chokes Undakia after i loose control of my anger and turn to my shadow form* HAHAHA DIE YOU STUPID ANGEL
Posted: Thu Aug 17, 2006 5:20 pm
umi505 HermieKrab *sneaks into hole* Ahhh my cover is blown! HAY! that's my hole! *Climbs out* you know how deep that is?
Posted: Thu Aug 17, 2006 5:20 pm
umi505 Undakai Dark_Wyvern *pulls out a black pair of siccors with Undakia's life string and i smile evilly* HAHA im from the other side so i can take any life string i want and i found yours ...I don't have a life string...I never was alive...advantages of being an angel. wow, meaing you'r non-liveing . . .you'r like an . . .object? . . yeah Not living in human terms...as In I wasn't born, but rather created for a job. Disadvantage=lack of free will...lucky humans =/
Posted: Thu Aug 17, 2006 5:20 pm
Hermie will not escape! *super-flying glomps Hermie*
Posted: Thu Aug 17, 2006 5:21 pm
Undakai umi505 Undakai Dark_Wyvern *pulls out a black pair of siccors with Undakia's life string and i smile evilly* HAHA im from the other side so i can take any life string i want and i found yours ...I don't have a life string...I never was alive...advantages of being an angel. wow, meaing you'r non-liveing . . .you'r like an . . .object? . . yeah Not living in human terms...as In I wasn't born, but rather created for a job. Disadvantage=lack of free will...lucky humans =/ HA im non-living and i have free will...SUCKER